Have you been charged with a crime of possession, paraphernalia, distribution, or some other drug-related offense in Colorado? Here, we will answer some of the most frequently asked questions about narcotics and drug offenses in Denver, Colorado.

In Colorado, defendants can be charged with various drug offenses on many legal grounds. Drug offenses can be mild or serious, depending on the circumstances of your situation. Your charges will also revolve around the types of narcotic substances you had in your possession and of what quantities.

Possessing up to four grams of certain drugs can result in a level 1 drug misdemeanor charge. Although this once was a felony, as of March 1, 2020, the state changed the offense to a misdemeanor. Level 1 narcotic charges often come from the possession of substances including cocaine, heroin, ecstasy (MDMA), methamphetamine, or LSD, in quantities of up to four grams.

Occasionally, defendants will have the option to complete a drug diversion program to reduce or eliminate drug charges. These programs can be very helpful and are a great option for certain defendants. Your lawyer can help you determine if your offense qualifies for diversion.

At Koziel & Lehr Law, our lawyers understand the complex legal processes surrounding narcotics charges in Colorado. We know what it takes to get your drug offenses completely dismissed.

What are drug offenses?

There are many different types of drug crimes and offenses in Colorado. Drug offenses can be petty, misdemeanors, or felonies. Drug offenses usually come from activities like manufacturing, delivery, possession, paraphernalia, or in some cases, consumption.

Colorado state laws on controlled substances define the legal and illegal use of various narcotics. If you conduct yourself or behave in a way that violates Colorado’s drug laws, you could be charged with a drug offense.

# Here the piece breaks off for data records
2 unconnected molecules or ions with the total composition C4H13N3, computed with wB97M-V/def2-TZVPD.

Positions of all 20 atoms, in Å:
C1 -0.593 1.708 -0.558
N1 -1.948 1.400 -0.100
C2 -2.127 0.632 1.009
N2 -3.108 -0.176 1.149
H1 -0.629 2.469 -1.333
H2 0.009 2.056 0.281
H3 -0.077 0.815 -0.925
H4 -2.609 1.177 -0.831
H5 -1.349 0.762 1.765
H6 -3.118 -0.520 2.105
C3 2.710 -0.474 0.584
C4 2.250 -1.650 -0.256
N3 1.706 -1.183 -1.545
H7 1.921 0.269 0.672
H8 2.976 -0.772 1.603
H9 3.587 0.008 0.145
H10 3.094 -2.340 -0.394
H11 1.458 -2.177 0.281
H12 2.441 -0.651 -2.009
H13 1.553 -1.993 -2.145

Forces on the atoms, in the same order (eV/Å):
0.04 -0.49 0.22
0.07 0.07 -0.24
0.01 -0.39 0.16
-0.19 0.47 0.05
0.01 0.11 0.04
-0.09 0.25 0.01
-0.02 0.07 -0.17
0.01 -0.04 0.01
0.00 0.14 -0.04
0.14 -0.19 -0.06
0.03 -0.01 0.02
0.05 0.12 0.03
0.25 -0.16 -0.02
-0.08 0.05 -0.01
0.05 -0.07 0.01
0.01 0.06 -0.04
-0.11 -0.07 0.09
0.03 -0.06 -0.08
-0.09 0.09 0.00
-0.11 0.05 0.02

Properties
energy relative to the best compared isomer or geometry (same formula, charge and spin) = 7.0 kcal/mol
charge = -1
Kohn-Sham gap (alpha / beta) = 2.712 / 9.881 eV
E = -324.3991 Ha
spin multiplicity = 2

What are paraphernalia offenses in Colorado?

Recently, Colorado reduced the penalties for certain drug offenses. However, the possession of drug paraphernalia is still regulated in Colorado. It is a criminal offense to possess illegal drugs and paraphernalia in Colorado under some circumstances. § 18-18-428.

If illegal narcotics are found on your person in tandem with items used for consuming or selling those substances, you could get possession and paraphernalia charges. Items used to consume, store, test, package, or process controlled substances are considered drug paraphernalia.

What about cannabis accessories?

In Colorado, marijuana is legal Statewide. Paraphernalia laws specifically exclude cannabis accessories. Cannabis accessories include bongs, blunt wraps, papers, pipes, and cultivation items.

What should you know about disclosing paraphernalia?

Hypodermic needles and syringes are not related to the consumption of marijuana. As such, if you are being searched by a law enforcement officer, you must disclose the possession of these items. Otherwise, you could be charged with having paraphernalia on your person. § 18-18-428.

What are possession offenses in Colorado?

On March 1, 2020, Colorado changed the laws surrounding drug possession penalties. Colorado declared it no longer is a felony to possess up to four grams of certain controlled substances. These substances include heroin, methamphetamine, ecstasy, and cocaine.

What are the penalties for controlled substance possession in Colorado?

The circumstances surrounding your possession charges will impact which penalties you may face in Colorado. Typically, the use or possession of a controlled substance is a misdemeanor in Colorado. With that being said, possession charges may be bumped up to felony offenses if they involve more than four grams of a substance, especially if it is a schedule I or schedule II narcotic.

Factors that may impact potential drug possession penalties include:

  • The quantity in your possession
  • Whether the drugs were for personal use or distribution
  • The type of narcotic you were carrying and whether it was a schedule I or schedule II substance

What are distribution, delivery, and manufacturing drug crimes in Colorado?

According to CRS 18-18-405, selling or distributing chemicals, equipment, or supplies for manufacturing controlled substances is a felony offense. This felony offense involves the defendant knowing or reasonably believing that these chemicals, equipment, or supplies, will be used to illegally manufacture a controlled substance.

## Data records, kept here for reference
********
No. 1
The following is a DFT calculation (ωB97M-V/def2-TZVPD) of a molecular structure, C13H40CaO21P4S.

Computed properties:
- Strongest force on any atom: 4.06 eV Å⁻¹
- Net charge: 0
- Gap between HOMO and LUMO: 3.005 eV
- HOMO: -0.2290 Ha

Last column: Mulliken charge in e.
Positions of all 80 atoms, in Å:
Ca -0.091 2.997 -0.699  1.092
S 2.988 6.973 0.253  1.240
O 1.616 6.749 0.657  -0.520
O 3.825 6.917 1.467  -0.614
O 3.103 5.761 -0.557  -0.551
O 3.169 8.203 -0.495  -0.626
C -2.996 6.619 -3.756  -0.591
O -3.140 5.384 -3.207  -0.476
H -3.870 7.212 -3.488  0.240
H -2.170 7.204 -3.353  0.252
H -3.036 6.658 -4.845  0.253
H -4.088 5.255 -3.133  0.318
C 6.016 -0.565 1.642  -0.720
O 5.462 -1.737 1.220  -0.265
P 4.016 -2.122 1.810  1.037
O 3.003 -1.075 1.661  -0.653
O 3.661 -3.526 1.074  -0.299
C 4.429 -4.702 1.144  -0.687
O 4.348 -2.582 3.350  -0.310
C 3.359 -3.106 4.108  -0.688
H 5.351 0.256 1.910  0.347
H 6.551 -0.232 0.753  0.255
H 6.730 -0.693 2.457  0.257
H 4.754 -5.094 0.180  0.279
H 3.728 -5.461 1.491  0.288
H 5.227 -4.636 1.883  0.322
H 2.814 -2.398 4.733  0.264
H 3.797 -3.851 4.771  0.254
H 2.604 -3.562 3.468  0.312
C 2.053 2.707 -7.659  -0.690
O 2.407 1.367 -7.929  -0.266
P 2.430 0.172 -6.856  1.038
O 2.015 0.487 -5.456  -0.664
O 1.539 -0.986 -7.603  -0.314
C 1.796 -1.284 -8.913  -0.654
O 3.927 -0.480 -7.000  -0.313
C 4.259 -1.685 -6.343  -0.687
H 1.992 2.926 -6.593  0.309
H 1.102 2.940 -8.137  0.270
H 2.859 3.384 -7.941  0.269
H 2.466 -0.570 -9.391  0.341
H 0.832 -1.327 -9.420  0.254
H 2.346 -2.223 -8.984  0.250
H 4.899 -1.517 -5.476  0.279
H 4.769 -2.366 -7.025  0.262
H 3.375 -2.210 -5.982  0.314
C -0.456 3.188 6.482  -0.699
O -1.308 2.027 6.518  -0.290
P -2.809 2.008 5.858  1.012
O -2.797 2.358 4.413  -0.658
O -3.339 0.499 6.187  -0.260
C -3.251 -0.128 7.420  -0.677
O -3.642 2.969 6.845  -0.292
C -5.044 2.987 6.785  -0.746
H -0.235 3.520 7.496  0.278
H -0.832 4.077 5.975  0.315
H 0.461 2.946 5.945  0.274
H -2.451 0.309 8.016  0.314
H -2.863 -1.136 7.273  0.272
H -4.178 -0.074 7.990  0.261
H -5.322 3.992 6.467  0.304
H -5.489 2.644 7.719  0.250
H -5.443 2.400 5.958  0.340
C -5.895 -2.215 0.867  -0.637
O -5.425 -2.863 -0.344  -0.315
P -3.810 -3.059 -0.614  0.994
O -3.097 -1.806 -1.010  -0.636
O -3.267 -3.747 0.770  -0.273
C -3.654 -5.095 1.121  -0.698
O -3.746 -4.233 -1.705  -0.329
C -2.493 -4.686 -2.226  -0.708
H -5.562 -2.715 1.776  0.246
H -6.974 -2.272 1.011  0.272
H -5.498 -1.201 0.894  0.307
H -4.321 -5.402 0.315  0.328
H -4.248 -5.102 2.035  0.280
H -2.847 -5.827 1.153  0.279
H -1.673 -3.994 -2.034  0.337
H -2.438 -4.861 -3.301  0.283
H -2.279 -5.685 -1.848  0.265


No. 2
The following is a DFT calculation (ωB97M-V/def2-TZVPD) of 2 unconnected molecules or ions with the total composition C3H9N2O2S.

Computed properties:
- Energy above the lowest of the compared OMol25 structures with the same formula, charge and spin: 139.3 kcal per mole
- Strongest force on any atom: 3.88 eV Å⁻¹
- Net charge: -1
********

In Colorado, Controlled Substances Include:

  • MDMA
  • Benzodiazepines
  • Methamphetamine
  • Anabolic steroids
  • Hallucinogens
  • Mescaline
  • Psilocybin mushrooms
  • Opioids
  • Heroin
  • Crack or cocaine
  • Fentanyl

Let Use Help You with Colorado Drug Offenses! Call Koziel & Lehr Law Now.

A drug offense should never be the cause of irreparable damage to your life and reputation! People make mistakes, and life is full of complicated situations. Our team is here to help you get things back on track so that you can move forward with the brightest possible future.

Our skilled team of Colorado attorneys can work toward helping you with all manner of drug offenses. Contact our firm and let us begin building a case in your favor.

At Koziel & Lehr, our drug crime lawyers will fight to get your narcotics charges reduced or dropped. Additionally, drug offenses can be dealt with using programs like drug diversion. There are many tools at your disposal as you fight charges or seek the best possible plea bargain. Let our compassionate team represent you now!

Call Koziel & Lehr Law at (720) 314-8750.